Evening Prayer Thursday January 14th 2021

Evening Prayer Thursday January 14th 2021

Ali E’s turn to read Evening Prayer as she considers times when it is right to be angry, in order to change the world for the better – particularly in the light of recent child abuse cases. Ali contemplates salvation and how Christ frees and redeems us.

14th January 20214th February 2021by
Evening Prayer Wednesday January 13th 2021

Evening Prayer Wednesday January 13th 2021

Evening Prayer and Matilda contemplates the delicious joy of each new day. She prays that we will make the most of tomorrow, that we will share our new songs of God’s love and hope throughout this world, and that we will endure days of sorrow with God’s love.

13th January 20214th February 2021by
Evening Prayer Tuesday January 12th 2021

Evening Prayer Tuesday January 12th 2021

We consider the Word of God – from the beginning, revealed by prophets or shown through the humblest service to others, or revealed through a tiny child – alive from the beginning of beginnings to eternity. A mother and daughter team take it in turns to read our Evening Prayer this week.

**Misplaced crystal structures:**
********
(1)
LiMgAl2 at its PBEsol-relaxed geometry. Source: Alexandria via LeMat-Bulk, functional SCAN.

Values from the calculation:
Space-group type = No. 65
Total magnetic moment = 0.000 μB/cell

a b c (Å): 2.879 5.148 5.148
angles (deg): 112.86 90.00 90.00
Sites, in units of the cell vectors:
Mg: 0.500 0.000 0.000
Al: 0.000 0.000 0.500
Al: 0.000 0.500 0.000
Li: 0.500 0.500 0.500

=====

(2)
LiMgAl at its PBEsol-relaxed geometry. Source: Alexandria via LeMat-Bulk, functional SCAN.

Values from the calculation:
Space-group type = No. 216
Total magnetic moment = 0.000 μB/cell

a b c (Å): 4.595 4.595 4.595
angles (deg): 60.00 60.00 60.00
Sites, in units of the cell vectors:
Mg: 0.250 0.250 0.250
Al: 0.000 0.000 0.000
Li: 0.500 0.500 0.500

=====

(3)
LiMgAl2 at its PBEsol-relaxed geometry. Source: Alexandria via LeMat-Bulk, functional SCAN.

Values from the calculation:
Space-group type = No. 47
Total magnetic moment = 0.015 μB/cell

a b c (Å): 2.867 4.242 5.767
angles (deg): 90.00 90.00 90.00
Sites, in units of the cell vectors:
Mg: 0.500 0.500 0.500
Al: 0.000 0.000 0.758
Al: 0.000 0.000 0.242
Li: 0.500 0.500 0.000

=====

(4)
LiMgAl2 at its PBEsol-relaxed geometry. Source: Alexandria via LeMat-Bulk, functional SCAN.

Values from the calculation:
Space-group type = No. 8
Total magnetic moment = 0.006 μB/cell

a b c (Å): 2.907 4.972 5.180
angles (deg): 98.57 90.00 107.00
Sites, in units of the cell vectors:
Mg: 0.254 0.507 0.745
Al: 0.006 0.012 0.016
Al: 0.746 0.492 0.244
Li: 0.494 0.989 0.494

=====

(5)
LiMgAl2 at its PBEsol-relaxed geometry. Source: Alexandria via LeMat-Bulk, functional SCAN.

Values from the calculation:
Space-group type = No. 12
Total magnetic moment = 0.012 μB/cell

a b c (Å): 2.940 5.005 5.120
angles (deg): 99.88 90.00 107.08
Sites, in units of the cell vectors:
Mg: 0.000 0.000 0.500
Al: 0.751 0.503 0.761
Al: 0.249 0.497 0.239
Li: 0.500 0.000 0.000

=====

(6)
Li2MgAl at its PBEsol-relaxed geometry. Source: Alexandria via LeMat-Bulk, functional SCAN.

Values from the calculation:
Space-group type = No. 166
Total magnetic moment = 0.052 μB/cell

a b c (Å): 2.956 2.956 9.778
angles (deg): 81.31 81.31 60.00
Sites, in units of the cell vectors:
Mg: 0.500 0.500 0.500
Al: 0.000 0.000 0.000
Li: 0.254 0.254 0.237
Li: 0.746 0.746 0.763

=====

(7)
Li2MgAl at its PBEsol-relaxed geometry. Source: Alexandria via LeMat-Bulk, functional SCAN.

Values from the calculation:
Space-group type = No. 10
Total magnetic moment = 0.042 μB/cell

a b c (Å): 2.844 4.648 5.483
angles (deg): 90.00 100.29 90.00
Sites, in units of the cell vectors:
Mg: 0.500 0.500 0.000
Al: 0.000 0.500 0.500
Li: 0.736 0.000 0.731
Li: 0.264 0.000 0.269

=====

(8)
LiMgAl at its PBEsol-relaxed geometry. Source: Alexandria via LeMat-Bulk, functional SCAN.

Values from the calculation:
Space-group type = No. 156
Total magnetic moment = 0.000 μB/cell

a b c (Å): 2.926 4.608 4.608
angles (deg): 120.00 90.00 90.00
Sites, in units of the cell vectors:
Mg: 0.353 0.333 0.667
********

12th January 20214th February 2021by
Evening Prayer Monday January 11th 2021

Evening Prayer Monday January 11th 2021

Matilda thanks God for nature in our Evening Prayer – for healing rain, for beams of sunlight that fall softly on a child’s face, for butterflies and flowers, birds and fish, stars and trees, and for all beautiful things created by our Lord. Matilda prays that God’s children see and wonder at these, and that...

11th January 20214th February 2021by
Evening Prayer Saturday January 9th 2021

Evening Prayer Saturday January 9th 2021

Evening Prayer and Liz’s last compassionate prayers for this week – she offers thanks that we have seen this week through and asks God to bless our Sunday worship. Liz gives thanks for lighter evenings, hints of spring, and marks the passing of time. With God nothing stands still, time moves forward and nothing defeats...

9th January 20214th February 2021by
Evening Prayer Friday January 8th 2021

Evening Prayer Friday January 8th 2021

The Glory of the Lord rises upon us – Liz gives thanks to our Lord for all who lighten our darkness and make us laugh. We thank teachers, parents and neighbours who take time to find out how we are and patiently listen to us. Liz prays for our communal worship, that we remain together...

8th January 20214th February 2021by
Evening Prayer Thursday January 7th 2021

Evening Prayer Thursday January 7th 2021

Arise, shine for your light has come – the glory of the Lord is rising upon you this Evening Prayer. Liz asks for God to protect our workforces – delivery drivers, refuse collectors, street cleaners, postal workers and community police. We also pray for all who are ill or so worried by this pandemic that...

7th January 20214th February 2021by
Evening Prayer Wednesday January 6th 2021

Evening Prayer Wednesday January 6th 2021

Liz leads Evening Prayer, from the rising of the sun to its setting, we proclaim Christ’s glory throughout the world. Liz B considers moments of joy as a blessing, for musicians, singers and for all who sing in praise of God – we consider the Magi journeying in the dark, following hope in the form...

6th January 20214th February 2021by
Evening Prayer Tuesday January 5th 2021

Evening Prayer Tuesday January 5th 2021

Welcome to Evening Prayer as Liz proclaims God’s glory across the world. Christ was given as a light to the nations – may our lives witness this truth. Liz prays for those who comfort and nurse the dying and for people unable to be with those they love at their death, we entrust them into...

5th January 20214th February 2021by
Evening Prayer Monday January 4th 2021

Evening Prayer Monday January 4th 2021

=====
{
  "formula": "BeCdAs2",
  "functional": "meta-GGA SCAN",
  "state": "single point on PBEsol structure",
  "lattice_angstrom": [[4.3511, 0.0000, 0.0000], [0.0000, 4.3511, 0.0000], [0.0000, 0.0000, 3.6979]],
  "species": ["Be", "Cd", "As", "As"],
  "fractional_positions": [[0.0000, 0.0000, 0.0000], [0.5000, 0.5000, 0.0000], [0.0000, 0.5000, 0.5000], [0.5000, 0.0000, 0.5000]],
  "magnetic_moment_mub_per_atom": 0.0000,
  "formation_energy_ev_per_atom": 0.53,
  "space_group": "P4/mmm",
  "dft_energy_ev_per_atom": -18.25
}

***

{
  "formula": "BiPd2C",
  "functional": "meta-GGA SCAN",
  "state": "single point on PBEsol structure",
  "lattice_angstrom": [[0.0000, 3.1573, 3.1573], [3.1573, 0.0000, 3.1573], [3.1573, 3.1573, 0.0000]],
  "species": ["Bi", "Pd", "Pd", "C"],
  "fractional_positions": [[0.0000, 0.0000, 0.0000], [0.2500, 0.2500, 0.2500], [0.7500, 0.7500, 0.7500], [0.5000, 0.5000, 0.5000]],
  "magnetic_moment_mub_per_atom": 0.0001,
  "formation_energy_ev_per_atom": 1.16,
  "space_group": "Fm-3m",
  "dft_energy_ev_per_atom": -37.39
}

***

{
  "formula": "Mn3Cu2NiO8",
  "functional": "meta-GGA SCAN",
  "state": "single point on PBEsol structure",
  "lattice_angstrom": [[2.8745, 1.6596, 4.7547], [-2.8745, 1.6596, 4.7547], [0.0000, -3.3192, 4.7547]],
=====
Here the text continues

Our Evening Prayer is led by Liz B who thanks all those who helped us to celebrate and proclaim the message of Christ’s birth this Christmas. Liz prays for our church mission, that we continue to reach and support those who are outside our congregation, and for all church communities. We remember most especially all...

4th January 20214th February 2021by